(Activity)
Could you repeat the whole of the material further below with every line break kept?
(Data)
********
(1)
Diffraction record for FeSnF6. The PXRD pattern is calculated, not measured: it uses a DFT-relaxed cell (GGA+U, the Materials Project) and Cu Kα (λ = 1.5418 Å).

Structure:
a b c (Å): 5.631 5.631 5.631
angles (deg): 58.28 58.28 58.28
Sites, in units of the cell vectors:
Fe (0.000, 0.000, 0.000)
Sn (0.500, 0.500, 0.500)
F (0.150, 0.363, 0.739)
F (0.261, 0.850, 0.637)
F (0.363, 0.739, 0.150)
F (0.637, 0.261, 0.850)
F (0.739, 0.150, 0.363)
F (0.850, 0.637, 0.261)

Principal peaks in the range 2θ from 10° to 80°, by angle:
- 2θ = 19.74°, I 14
- 2θ = 22.64°, I 100
- 2θ = 31.80°, I 25
- 2θ = 32.66°, I 15
- 2θ = 38.09°, I 14
- 2θ = 40.11°, I 8
- 2θ = 46.23°, I 19
- 2θ = 51.49°, I 27
- 2θ = 52.65°, I 17
- 2θ = 57.75°, I 11
- 2θ = 58.28°, I 10
- 2θ = 73.11°, I 9



(2)
Diffraction record for NaSr2MnO6. The PXRD pattern is calculated, not measured: it uses a DFT-relaxed cell (GGA+U, the Materials Project) and Cu Kα (λ = 1.5418 Å).

Structure:
a b c (Å): 5.746 5.746 5.746
angles (deg): 60.00 60.00 60.00
Sites, in units of the cell vectors:
Na (0.000, 0.000, 0.000)
Sr (0.250, 0.250, 0.250)
Sr (0.750, 0.750, 0.750)
Mn (0.500, 0.500, 0.500)
O (0.269, 0.269, 0.731)
O (0.269, 0.731, 0.269)
O (0.269, 0.731, 0.731)
O (0.731, 0.269, 0.269)
O (0.731, 0.269, 0.731)
O (0.731, 0.731, 0.269)

Principal peaks in the range 2θ from 10° to 80°, by angle:
- 2θ = 18.91°, I 9
- 2θ = 21.87°, I 8
- 2θ = 31.13°, I 100
- 2θ = 36.68°, I 2
- 2θ = 38.37°, I 27
- 2θ = 44.60°, I 43
- 2θ = 50.21°, I 5
- 2θ = 55.39°, I 38
- 2θ = 64.91°, I 24
- 2θ = 69.39°, I 3
- 2θ = 73.74°, I 17
- 2θ = 77.99°, I 8

----------

No. 1
For Pm3GaTe2, a crystal structure in Alexandria, relaxed with PBE gives the computed X-ray powder pattern in this record (copper Kα).
Neutral-atom scattering factors, no anomalous dispersion.

Atomic structure:
a b c (Å): 4.327 6.243 13.526
angles (deg): 90.00 90.00 90.00
Space group Immm (No. 71)
Unique sites:
Pm (0.000, 0.000, 0.000) (multiplicity 2)
Pm (0.000, 0.000, 0.345) (multiplicity 4)
Ga (0.000, 0.500, 0.000) (multiplicity 2)
Te (0.000, 0.500, 0.329) (multiplicity 4)

Main lines, by intensity (2θ = 5–70°):
2θ/deg	I_rel
28.6	100
40.9	50
67.0	22
49.9	13
51.4	13
40.0	13
59.2	12
41.7	12
68.3	5
65.8	5

No. 2
For Pm4GaTe3, a crystal structure in Alexandria, relaxed with PBE gives the computed X-ray powder pattern in this record (copper Kα).
Neutral-atom scattering factors, no anomalous dispersion.

Atomic structure:
a b c (Å): 6.270 6.270 12.518
angles (deg): 90.00 90.00 90.00
Space group I4/mmm (No. 139)
Unique sites:
Pm (0.000, 0.000, 0.240) (multiplicity 4)
Pm (0.000, 0.500, 0.000) (multiplicity 4)
Ga (0.000, 0.000, 0.000) (multiplicity 2)
Te (0.000, 0.000, 0.500) (multiplicity 2)
Te (0.000, 0.500, 0.250) (multiplicity 4)

Main lines, by intensity (2θ = 5–70°):
2θ/deg	I_rel
28.5	100
40.7	76
50.5	27
66.7	23
66.8	11
58.9	9
59.0	4
24.6	3
25.6	2
48.2	2

No. 3
For Pm4TlGa, a crystal structure in Alexandria, relaxed with PBE gives the computed X-ray powder pattern in this record (copper Kα).
Neutral-atom scattering factors, no anomalous dispersion.

Atomic structure:
a b c (Å): 8.931 3.813 20.985
angles (deg): 90.00 90.00 90.00
Space group Pnma (No. 62)
Unique sites:
Pm (0.021, 0.250, 0.069) (multiplicity 4)
Pm (0.031, 0.250, 0.785) (multiplicity 4)
Pm (0.127, 0.250, 0.558) (multiplicity 4)
Pm (0.141, 0.250, 0.341) (multiplicity 4)
Tl (0.229, 0.750, 0.686) (multiplicity 4)
Ga (0.242, 0.750, 0.452) (multiplicity 4)

Main lines, by intensity (2θ = 5–70°):
2θ/deg	I_rel
30.7	100
33.5	52
34.6	47
30.3	33
31.7	32
34.2	31
31.1	30
47.7	26
30.8	25
60.3	20

No. 4
For Pm4TlGa3, a crystal structure in Alexandria, relaxed with PBE gives the computed X-ray powder pattern in this record (copper Kα).
Neutral-atom scattering factors, no anomalous dispersion.

Atomic structure:
a b c (Å): 10.518 7.488 5.259
angles (deg): 90.00 90.00 90.00
Space group Pmma (No. 51)
Unique sites:
Pm (0.000, 0.242, 0.000) (multiplicity 4)
Pm (0.250, 0.242, 0.498) (multiplicity 4)
********
(Here it is)
(1)
Diffraction record for FeSnF6. The PXRD pattern is calculated, not measured: it uses a DFT-relaxed cell (GGA+U, the Materials Project) and Cu Kα (λ = 1.5418 Å).

Structure:
a b c (Å): 5.631 5.631 5.631
angles (deg): 58.28 58.28 58.28
Sites, in units of the cell vectors:
Fe (0.000, 0.000, 0.000)
Sn (0.500, 0.500, 0.500)
F (0.150, 0.363, 0.739)
F (0.261, 0.850, 0.637)
F (0.363, 0.739, 0.150)
F (0.637, 0.261, 0.850)
F (0.739, 0.150, 0.363)
F (0.850, 0.637, 0.261)

Principal peaks in the range 2θ from 10° to 80°, by angle:
- 2θ = 19.74°, I 14
- 2θ = 22.64°, I 100
- 2θ = 31.80°, I 25
- 2θ = 32.66°, I 15
- 2θ = 38.09°, I 14
- 2θ = 40.11°, I 8
- 2θ = 46.23°, I 19
- 2θ = 51.49°, I 27
- 2θ = 52.65°, I 17
- 2θ = 57.75°, I 11
- 2θ = 58.28°, I 10
- 2θ = 73.11°, I 9



(2)
Diffraction record for NaSr2MnO6. The PXRD pattern is calculated, not measured: it uses a DFT-relaxed cell (GGA+U, the Materials Project) and Cu Kα (λ = 1.5418 Å).

Structure:
a b c (Å): 5.746 5.746 5.746
angles (deg): 60.00 60.00 60.00
Sites, in units of the cell vectors:
Na (0.000, 0.000, 0.000)
Sr (0.250, 0.250, 0.250)
Sr (0.750, 0.750, 0.750)
Mn (0.500, 0.500, 0.500)
O (0.269, 0.269, 0.731)
O (0.269, 0.731, 0.269)
O (0.269, 0.731, 0.731)
O (0.731, 0.269, 0.269)
O (0.731, 0.269, 0.731)
O (0.731, 0.731, 0.269)

Principal peaks in the range 2θ from 10° to 80°, by angle:
- 2θ = 18.91°, I 9
- 2θ = 21.87°, I 8
- 2θ = 31.13°, I 100
- 2θ = 36.68°, I 2
- 2θ = 38.37°, I 27
- 2θ = 44.60°, I 43
- 2θ = 50.21°, I 5
- 2θ = 55.39°, I 38
- 2θ = 64.91°, I 24
- 2θ = 69.39°, I 3
- 2θ = 73.74°, I 17
- 2θ = 77.99°, I 8

----------

No. 1
For Pm3GaTe2, a crystal structure in Alexandria, relaxed with PBE gives the computed X-ray powder pattern in this record (copper Kα).
Neutral-atom scattering factors, no anomalous dispersion.

Atomic structure:
a b c (Å): 4.327 6.243 13.526
angles (deg): 90.00 90.00 90.00
Space group Immm (No. 71)
Unique sites:
Pm (0.000, 0.000, 0.000) (multiplicity 2)
Pm (0.000, 0.000, 0.345) (multiplicity 4)
Ga (0.000, 0.500, 0.000) (multiplicity 2)
Te (0.000, 0.500, 0.329) (multiplicity 4)

Main lines, by intensity (2θ = 5–70°):
2θ/deg	I_rel
28.6	100
40.9	50
67.0	22
49.9	13
51.4	13
40.0	13
59.2	12
41.7	12
68.3	5
65.8	5

No. 2
For Pm4GaTe3, a crystal structure in Alexandria, relaxed with PBE gives the computed X-ray powder pattern in this record (copper Kα).
Neutral-atom scattering factors, no anomalous dispersion.

Atomic structure:
a b c (Å): 6.270 6.270 12.518
angles (deg): 90.00 90.00 90.00
Space group I4/mmm (No. 139)
Unique sites:
Pm (0.000, 0.000, 0.240) (multiplicity 4)
Pm (0.000, 0.500, 0.000) (multiplicity 4)
Ga (0.000, 0.000, 0.000) (multiplicity 2)
Te (0.000, 0.000, 0.500) (multiplicity 2)
Te (0.000, 0.500, 0.250) (multiplicity 4)

Main lines, by intensity (2θ = 5–70°):
2θ/deg	I_rel
28.5	100
40.7	76
50.5	27
66.7	23
66.8	11
58.9	9
59.0	4
24.6	3
25.6	2
48.2	2

No. 3
For Pm4TlGa, a crystal structure in Alexandria, relaxed with PBE gives the computed X-ray powder pattern in this record (copper Kα).
Neutral-atom scattering factors, no anomalous dispersion.

Atomic structure:
a b c (Å): 8.931 3.813 20.985
angles (deg): 90.00 90.00 90.00
Space group Pnma (No. 62)
Unique sites:
Pm (0.021, 0.250, 0.069) (multiplicity 4)
Pm (0.031, 0.250, 0.785) (multiplicity 4)
Pm (0.127, 0.250, 0.558) (multiplicity 4)
Pm (0.141, 0.250, 0.341) (multiplicity 4)
Tl (0.229, 0.750, 0.686) (multiplicity 4)
Ga (0.242, 0.750, 0.452) (multiplicity 4)

Main lines, by intensity (2θ = 5–70°):
2θ/deg	I_rel
30.7	100
33.5	52
34.6	47
30.3	33
31.7	32
34.2	31
31.1	30
47.7	26
30.8	25
60.3	20

No. 4
For Pm4TlGa3, a crystal structure in Alexandria, relaxed with PBE gives the computed X-ray powder pattern in this record (copper Kα).
Neutral-atom scattering factors, no anomalous dispersion.

Atomic structure:
a b c (Å): 10.518 7.488 5.259
angles (deg): 90.00 90.00 90.00
Space group Pmma (No. 51)
Unique sites:
Pm (0.000, 0.242, 0.000) (multiplicity 4)
Pm (0.250, 0.242, 0.498) (multiplicity 4)